Cheltenham Tuesday March 12th 2024


Mar 2, 2018

Here we are at the festival.

Once more we launch our foggy, hopeful deliberations onto the landscape of Prestbury Park Racecourse. And foggy they are. I'll admit that, come the day, my deliberations will have me downright flummoxed. Yes, it's guesswork, my friends, for the most part, but I'll be thrilled to be watching as the fog lifts to reveal the denouement of my Festival folly.

-- begin --
Density functional theory data (wB97M-V/def2-TZVPD) for a structure of composition C20H19F10N9O4S2Tl.

The geometry in ORCA input format:
```
! wB97M-V def2-TZVPD RIJCOSX def2/J DEFGRID3
* xyz 1 1
Tl -0.145 -0.579 -0.960
C 3.496 -1.732 -1.743
N 3.319 -0.577 -0.895
C 3.595 0.730 -1.447
C 3.434 -0.783 0.537
C 2.967 0.359 1.434
N 1.565 0.676 1.286
C 1.016 1.597 2.074
C -0.370 1.911 1.895
F -1.014 1.419 0.858
C -1.072 2.687 2.778
F -2.367 2.883 2.570
C -0.457 3.261 3.878
C 0.904 3.052 4.051
F 1.528 3.609 5.082
C 1.627 2.276 3.182
F 2.929 2.133 3.423
H 4.556 -1.816 -2.012
H 3.175 -2.634 -1.230
H 2.926 -1.590 -2.662
H 4.537 1.105 -1.038
H 3.653 0.681 -2.530
H 2.792 1.423 -1.172
H 2.921 -1.713 0.785
H 4.498 -0.933 0.758
H 3.197 0.038 2.453
H 3.590 1.239 1.257
H -1.018 3.860 4.584
N -0.197 -2.290 2.747
C -1.451 -1.797 2.625
N -2.178 -1.745 3.730
C -3.424 -1.309 3.554
N -4.228 -1.254 4.624
N -3.940 -0.920 2.376
C -3.116 -0.989 1.345
N -1.855 -1.425 1.395
C -3.701 -0.606 0.018
C -5.029 -0.192 -0.046
C -5.581 0.091 -1.283
C -4.810 -0.070 -2.418
C -3.494 -0.481 -2.269
N -2.947 -0.719 -1.078
H 0.146 -2.502 3.667
H 0.426 -2.211 1.970
H -3.896 -1.564 5.518
H -5.173 -0.942 4.505
H -5.596 -0.118 0.869
H -6.613 0.414 -1.356
H -5.209 0.124 -3.406
H -2.854 -0.604 -3.130
F -1.549 3.697 -4.435
C -1.204 3.599 -3.159
F -0.575 4.694 -2.769
F -2.289 3.419 -2.410
S -0.170 2.090 -2.931
O 0.345 2.133 -1.576
O -1.109 1.024 -3.190
N 0.947 2.287 -4.035
S 1.677 0.957 -4.481
O 3.048 1.157 -4.831
O 1.431 -0.136 -3.550
C 0.800 0.419 -6.046
F -0.341 1.083 -6.182
F 1.575 0.646 -7.094
F 0.544 -0.884 -5.961
*
```

Summary:
ΔE to the lowest compared entry with this formula, charge and spin (eV): 1.255
E_tot (eV): -96180.5863
Frontier orbital gap (spin up / spin down) (eV): 6.7917 / 5.5662
Molecular weight (Da): 907.9

natural (NBO) atomic charge list, values in e, 2 entries: atom 1 (Tl): 0.8089, atom 2 (C): -0.4693
-- stop --

I only have one main bet for the first day:

Apple Away - 5.30 Cheltenham 20/1 Ew Antepost

I've watched this one from her first chase and was immediately impressed by her jumping and scope. It seems to me that she's a natural but subsequent to her Leicester win, where she jumped like an efficient stag, her last two runs disappointed me at the time. Firstly, she was beaten by Grey Dawning, although I have a feeling that one is not far off the best. Next, her last run, she was 3L behind Henry's Friend. On that day, I'm not so sure the Ascot track suited her. "Excuses", I know but I always follow a horse into Cheltenham if they've made a marked impression on me during the season. This is one such.

After that Ascot defeat, it dawned on me that her 137 mark was juicy indeed, should they choose the handicap route and was well pleased to see her entered into both the Ultima and Kim Muir. I am astonished that she was withdrawn from the Ultima , being near bottom weight. Then to see connections also spurn the Kim Muir in favour of this race. Well, I was, err, flummoxed.

Be that as it may, the stable consider her to be a proper stayer and have said as much so I must rely on their judgement and also, perhaps, be reassured that she will avoid the hurly burly of twenty or so handicappers bustling around here. There is at least that.

I suppose I should confess to feeling that the shortening of her odds from 20's to 8's in the last two days looks ominous, you know. I don't like it when that happens. Still, there you have it. She's backed.

I'd like to add a poignant note here. It was in this race last year I backed Ben Paulin's Malinello, who had looked such a promising chaser prior to the festival. He was fatally injured after falling at the sixteenth. I was desolate and really did mourn the event for quite some time after. So, so sad. With that in mind I will say that, beyond anything else, I want all the horses at the festival to come home safe and sound.

Lastly, I'll share my Tuesday follies knowing that a single winner will be little short of a miracle. As I say: guesswork and for little stakes:

1.30 Tullyhill
2.10 JPR One ew
2.50 Trelawne ew
3.30 State Man
4.10 Lossiemouth
4.50 Nara ew

Good luck:confused: